Don't Look Up

⭐⭐⭐⭐⭐ based on 1 review.

Calculated crystals, kept here for reference.
/*
one | ## SrScRe2 (PBE)

Data for SrScRe2 after structural relaxation.

Lattice parameters (Å, degrees): 3.325 4.589 4.974 90.00 90.00 90.00
Space group Pmmm (No. 47)
One atom of each set of equivalent atoms:
Sr 0.000 0.000 0.000 (multiplicity 1)
Sc 0.500 0.500 0.000 (multiplicity 1)
Re 0.000 0.500 0.500 (multiplicity 1)
Re 0.500 0.000 0.500 (multiplicity 1)

***

two | ## SrScRe2 (PBE)

Data for SrScRe2 after structural relaxation.

Lattice parameters (Å, degrees): 5.715 9.920 2.806 90.00 107.08 90.00
Space group C2/m (No. 12)
One atom of each set of equivalent atoms:
Sr 0.000 0.000 0.000 (multiplicity 2)
Sc 0.000 0.500 0.000 (multiplicity 2)
Re 0.250 0.250 0.500 (multiplicity 4)

***

Stability ranking, top entry: two; the second entry is 47 meV per atom less favorable.

***

one | ## SrScRe2 (PBE)

Data for SrScRe2 after structural relaxation.

Lattice parameters (Å, degrees): 3.411 5.058 10.263 90.00 90.00 90.00
Space group Imm2 (No. 44)
One atom of each set of equivalent atoms:
Sr 0.000 0.000 0.000 (multiplicity 2)
Sc 0.000 0.500 0.218 (multiplicity 2)
Re 0.000 0.000 0.439 (multiplicity 2)
Re 0.000 0.500 0.772 (multiplicity 2)

***

two | ## SrScRe2 (PBE)

Data for SrScRe2 after structural relaxation.

Lattice parameters (Å, degrees): 3.0072 3.0072 29.5539 90.00 90.00 120.00
Space group R-3m (No. 166, hexagonal axes)
One atom of each set of equivalent atoms:
Sr 0.0000 0.0000 0.0000 (multiplicity 3)
Sc 0.0000 0.0000 0.5000 (multiplicity 3)
Re 0.0000 0.0000 0.2420 (multiplicity 6)

***

three | ## SrScRe2 (PBE)

Data for SrScRe2 after structural relaxation.

Lattice parameters (Å, degrees): 5.374 5.374 2.799 90.00 90.00 90.00
Space group P4/mmm (No. 123)
One atom of each set of equivalent atoms:
Sr 0.000 0.000 0.000 (multiplicity 1)
Sc 0.500 0.500 0.000 (multiplicity 1)
Re 0.000 0.500 0.500 (multiplicity 2)

***

four | ## SrScRe2 (PBE)

Data for SrScRe2 after structural relaxation.

Lattice parameters (Å, degrees): 2.799 2.799 9.864 90.00 90.00 90.00
Space group P4/mmm (No. 123)
One atom of each set of equivalent atoms:
Sr 0.000 0.000 0.000 (multiplicity 1)
Sc 0.000 0.000 0.500 (multiplicity 1)
Re 0.500 0.500 0.273 (multiplicity 2)

***

Stability ranking, top entry: one; the second entry is 227 meV per atom less favorable.

***

one | ## SrScRe2 (PBE)

Data for SrScRe2 after structural relaxation.

Lattice parameters (Å, degrees): 3.221 4.777 9.862 90.00 90.00 90.00
Space group Immm (No. 71)
One atom of each set of equivalent atoms:
Sr 0.000 0.000 0.000 (multiplicity 2)
Sc 0.000 0.000 0.500 (multiplicity 2)
Re 0.000 0.500 0.239 (multiplicity 4)

***

two | ## SrScRe2 (PBE)

Data for SrScRe2 after structural relaxation.

Lattice parameters (Å, degrees): 3.1541 3.1541 30.1391 90.00 90.00 120.00
Space group R3m (No. 160, hexagonal axes)
One atom of each set of equivalent atoms:
Sr 0.0000 0.0000 0.0000 (multiplicity 3)
Sc 0.0000 0.0000 0.7784 (multiplicity 3)
Re 0.0000 0.0000 0.2443 (multiplicity 3)
Re 0.0000 0.0000 0.5178 (multiplicity 3)

***
*/

tl;dr: Poignant, horrifying, funny, balanced, and utterly depressing. But also great.


Spoilers Ahead: My reviews are not spoiler-free. You have been warned.

What comes next are data records, not part of the entry:
┌──
LiFeBr3 | GGA-PBE | optimized geometry

a = 3.952 Å, b = 12.305 Å, c = 12.305 Å
α = 148.74°, β = 90.00°, γ = 90.00°
Positions (direct):
Li (0.250, 0.187, 0.813)
Li (0.750, 0.813, 0.187)
Fe (0.250, 0.330, 0.587)
Fe (0.750, 0.587, 0.330)
Br (0.250, 0.056, 0.494)
Br (0.250, 0.410, 0.254)
Br (0.250, 0.691, 0.952)
Br (0.750, 0.254, 0.410)
Br (0.750, 0.494, 0.056)
Br (0.750, 0.952, 0.691)

Properties
Fermi-level density of states   10.92 states/eV/cell
Energy relative to the elements, uncorrected   -831.2 meV/atom


ScBIN2 | GGA-PBE | optimized geometry

a = 4.079 Å, b = 4.079 Å, c = 6.271 Å
α = 90.00°, β = 90.00°, γ = 90.00°
Positions (direct):
Sc (0.000, 0.000, 0.000)
B (0.500, 0.500, 0.500)
I (0.000, 0.000, 0.500)
N (0.000, 0.500, 0.000)
N (0.500, 0.000, 0.000)

Properties
Fermi-level density of states   2.24 states/eV/cell
Energy relative to the elements, uncorrected   1378.1 meV/atom


ZnTcAs2Br | GGA-PBE | optimized geometry

a = 4.731 Å, b = 4.731 Å, c = 5.530 Å
α = 90.00°, β = 90.00°, γ = 90.00°
Positions (direct):
Zn (0.000, 0.000, 0.000)
Tc (0.500, 0.500, 0.500)
As (0.000, 0.500, 0.500)
As (0.500, 0.000, 0.500)
Br (0.500, 0.500, 0.000)

Properties
Fermi-level density of states   2.32 states/eV/cell
Energy relative to the elements, uncorrected   376.6 meV/atom


La2PW | GGA-PBE | optimized geometry

a = 9.009 Å, b = 9.009 Å, c = 9.009 Å
α = 24.09°, β = 24.09°, γ = 24.09°
Positions (direct):
La (0.000, 0.000, 0.000)
La (0.200, 0.200, 0.200)
P (0.462, 0.462, 0.462)
W (0.756, 0.756, 0.756)

Properties
DFT formation energy   -109 meV/atom
Fermi-level density of states   3.41 states/eV/cell


GeH4 | GGA-PBE | optimized geometry

a = 5.520 Å, b = 5.520 Å, c = 4.170 Å
α = 90.00°, β = 90.00°, γ = 138.20°
Positions (direct):
Ge (0.249, 0.751, 0.750)
Ge (0.751, 0.249, 0.250)
H (0.027, 0.973, 0.750)
H (0.048, 0.952, 0.250)
H (0.463, 0.537, 0.003)
H (0.463, 0.537, 0.497)
H (0.537, 0.463, 0.503)
H (0.537, 0.463, 0.997)
H (0.952, 0.048, 0.750)
H (0.973, 0.027, 0.250)

Properties
Raw total energy   -3.3110 eV per atom
Fermi-level density of states   2.06 states/eV/cell


Hf12Sb6Mo | GGA-PBE | optimized geometry

a = 8.380 Å, b = 8.380 Å, c = 8.380 Å
α = 109.58°, β = 109.58°, γ = 109.58°
Positions (direct):
Hf (0.008, 0.309, 0.877)
Hf (0.123, 0.992, 0.691)
Hf (0.134, 0.390, 0.307)
Hf (0.307, 0.134, 0.390)
Hf (0.309, 0.877, 0.008)
Hf (0.390, 0.307, 0.134)
Hf (0.610, 0.693, 0.866)
Hf (0.691, 0.123, 0.992)
Hf (0.693, 0.866, 0.610)
Hf (0.866, 0.610, 0.693)
Hf (0.877, 0.008, 0.309)
Hf (0.992, 0.691, 0.123)
Sb (0.213, 0.363, 0.672)
Sb (0.328, 0.787, 0.637)
Sb (0.363, 0.672, 0.213)
Sb (0.637, 0.328, 0.787)
Sb (0.672, 0.213, 0.363)
Sb (0.787, 0.637, 0.328)
Mo (0.000, 0.000, 0.000)

Properties
Fermi-level density of states   17.70 states/eV/cell
Energy relative to the elements, uncorrected   -216.0 meV/atom


CaPm4YS8 | GGA-PBE | optimized geometry

a = 8.233 Å, b = 8.233 Å, c = 8.233 Å
α = 60.32°, β = 60.32°, γ = 60.32°
Positions (direct):
Ca (0.000, 0.000, 0.000)
└──

It's hard watching a satire of a crisis that you are living through. On the one hand, I thought the acting and script, the comedy and the direction, it was all deeply entertaining and, at times, masterful. There is very little that I would meaningfully critique about Don't Look Up, and I felt it picked its punches very well. Obviously, at the core, this is a cautionary tale about how our species is sleepwalking into ecological and planetary ruin, despite ample warning, and this message is definitely done justice. I think the fact that you now often see people lifting screenshots from the film and pairing them with newspaper headlines about Scientists X or IPCC reports or anything of a similar ilk speaks volumes as to how well it summarised (and, to a lesser degree, predicted) the way humanity is reacting to the ongoing climate crisis. But the film doesn't stop there; it also deftly skewers the neo-fascism brought about by Trump, BoJo, and their peers; the way the media has become trapped chasing their own tails whilst losing sight of the bigger picture; the problems inherent in trusting the motives of capitalist billionaires over scientists or putting lucky "geniuses" on pedestals they likely don't deserve; and the growing weaponisation of emotion over fact in the general public discourse. It's all bleak and fascinating; harrowing and hilarious.

And amongst all of this excellent storytelling, the film manages to deliver little moments that are just fun. It slightly has to play this balancing act, otherwise anyone with even a smidgeon of understanding of the current state of the world would just sink further and further into a deep depression, but it does so well nonetheless. Whether it's Kate's recurring fixation on the General that swindles them out of money at the start of the film; Yule's surprising Christianity; the bag-over-the-head gag; or just any of the consistent jabs at celebrity culture, the jokes land well and give the world a surprising level of depth. Surreal depth, sure, but depth nevertheless. Add on top of this, you have a stellar cast providing some excellent performances (it's great to see Lawrence back; Leo is on top form in a slightly unusual role for him; and Streep, Blanchett, and Chalamet all clearly have so much fun in their roles that they're just riveting to watch) that help flesh out a surprisingly layered plot. Randall grows into (and is corrupted by) his new fame. Kate breaks down. Randall's family are actually interesting. Even Ariana Grande's character has more to her than was necessary, whilst Rob Morgan's competent NASA lead actually helps balance out the absurdity over Streep and Jonah Hill's inept presidency.

(Inserted here: materials data)
=====
Entry 1:
The following is a PBE-GGA calculation of a geometry-optimized ZrCo2Rh structure, from the Alexandria database.

a = 4.3530 Å, b = 4.3530 Å, c = 4.3530 Å
α = 60.00°, β = 60.00°, γ = 60.00°
Each line ends with the local moment (μB).
Fractional positions:
Co1 0.0000 0.0000 0.0000  1.08
Co2 0.7500 0.7500 0.7500  1.73
Rh1 0.5000 0.5000 0.5000  0.21
Zr1 0.2500 0.2500 0.2500  -0.12

=====

Entry 2:
The following is a PBE-GGA calculation of a geometry-optimized NbCd2PdAu structure, from the Alexandria database.

a = 5.4331 Å, b = 4.7945 Å, c = 5.4331 Å
α = 90.00°, β = 90.00°, γ = 90.00°
Each line ends with the local moment (μB).
Fractional positions:
Nb1 0.0000 0.0000 0.0000  1.04
Au1 0.5000 0.5000 0.5000  -0.01
Pd1 0.0000 0.5000 0.0000  0.07
Cd1 0.0000 0.0000 0.5000  0.02
Cd2 0.5000 0.0000 0.0000  0.02

=====

Entry 3:
The following is a PBE-GGA calculation of a geometry-optimized EuMgCdGa structure, from the Alexandria database.

a = 5.1138 Å, b = 5.1138 Å, c = 5.1138 Å
α = 60.00°, β = 60.00°, γ = 60.00°
Each line ends with the local moment (μB).
=====

If I were to critique anything, it's perhaps that some of the jokes were a little lazy (though with a character like Trump, it's hard not to just literally repeat things he's said as a gag; the man is a walking parody of himself). I'm also surprised that they dedicated the credits to set up a(n admittedly) funny final punchline around the "rich people escape to another world" trope, as opposed to a Big Short style expose of the film's core theme based on actual reality. The film is not subtle about the climate crisis, but I think it would have served the central message to just run actual footage of the things it was satirising at the end, to just be absolutely clear that we're in a mess and we need to act now. And then, y'know, end on a callback gag about the President's oddly specific and unusual death prophecy 😂